To do:
Return the whole of the listing further down character by character.
Source:
~~~
1.
Structure and computed powder diffractogram of Tb4Pr3Nd (a cell relaxed with GGA-PBE; copper Kα).

Largest 6 diffraction maxima, sorted by position, 10 to 90 degrees two-theta:
2θ/deg, Rel. int., h k l
28.03, 16, 0 2 1
30.48, 25, 4 0 0
32.02, 100, 2 2 1
41.91, 16, 4 0 2
55.15, 21, 6 2 1
59.45, 15, 4 2 3

Cell and atoms:
```
data_Tb4Pr3Nd
_space_group_name_H-M_alt 'P m n 21'
_space_group_IT_number 31
_cell_length_a 11.7299
_cell_length_b 7.3615
_cell_length_c 6.3449
_cell_angle_alpha 90.00
_cell_angle_beta 90.00
_cell_angle_gamma 90.00
loop_
_space_group_symop_operation_xyz
'x,y,z'
'-x+1/2,-y,z+1/2'
'-x,y,z'
'x+1/2,-y,z+1/2'
loop_
_atom_site_label
_atom_site_type_symbol
_atom_site_fract_x
_atom_site_fract_y
_atom_site_fract_z
Tb1 Tb 0.0000 0.1210 0.0000
Tb2 Tb 0.0000 0.8782 0.5008
Tb3 Tb 0.2501 0.1213 0.3328
Pr1 Pr 0.0000 0.3723 0.4979
Pr2 Pr 0.2495 0.3722 0.8349
Nd1 Nd 0.0000 0.6287 0.9991
```

=====

2.
Structure and computed powder diffractogram of Tb9PrNd2 (a cell relaxed with GGA-PBE; copper Kα).

Largest 6 diffraction maxima, sorted by position, 10 to 90 degrees two-theta:
2θ/deg, Rel. int., h k l
30.48, 100, 1 1 3
35.33, 51, 2 0 0
50.83, 36, 2 2 0
60.43, 43, 3 1 3
82.82, 18, 3 3 3
85.47, 17, 4 2 0

Cell and atoms:
```
data_Tb9PrNd2
_space_group_name_H-M_alt 'P 4/m m m'
_space_group_IT_number 123
_space_group_name_Hall '-P 4 2'
_cell_length_a 5.0793
_cell_length_b 5.0793
_cell_length_c 15.2480
_cell_angle_alpha 90.00
_cell_angle_beta 90.00
_cell_angle_gamma 90.00
loop_
_atom_site_label
_atom_site_type_symbol
_atom_site_fract_x
_atom_site_fract_y
_atom_site_fract_z
Tb1 Tb 0.0000 0.0000 0.0000
Tb2 Tb 0.0000 0.0000 0.3337
Tb3 Tb 0.0000 0.5000 0.1673
Tb4 Tb 0.0000 0.5000 0.5000
Pr1 Pr 0.5000 0.5000 0.0000
Nd1 Nd 0.5000 0.5000 0.3336
```

=====

1.
Computed X-ray diffraction stick pattern
Compound: CsScAs2H2O8
Radiation: copper Kα
Structure: the PBE geometry in the Materials Project
Kinematic intensities with the Lorentz-polarization factor, no thermal factor.

Main lines, in order of rising 2θ (10 to 80 degrees two-theta):
2θ = 23.05°, rel. 43.2
2θ = 24.84°, rel. 32.4
2θ = 26.12°, rel. 90.9
2θ = 27.44°, rel. 100.0
2θ = 27.85°, rel. 65.4
2θ = 29.98°, rel. 40.8

Structural model:
```
CsScAs2H2O8
1.0
7.736 0.000 0.000
3.270 8.948 0.000
3.409 3.344 9.108
Cs Sc As H O
3 3 6 6 24
Direct
0.000 0.000 0.000
0.131 0.169 0.525
0.869 0.831 0.475
0.297 0.279 0.057
0.500 0.500 0.500
0.703 0.721 0.943
0.054 0.446 0.780
0.412 0.649 0.783
0.421 0.876 0.230
0.579 0.124 0.770
0.588 0.351 0.217
0.946 0.554 0.220
0.111 0.738 0.744
0.210 0.561 0.282
0.424 0.959 0.773
0.576 0.041 0.227
0.790 0.439 0.718
0.889 0.262 0.256
0.062 0.366 0.216
0.087 0.635 0.261
0.105 0.306 0.941
0.213 0.794 0.719
0.244 0.464 0.637
0.249 0.050 0.205
0.327 0.510 0.939
0.351 0.734 0.390
0.385 0.078 0.751
0.433 0.424 0.350
0.479 0.817 0.083
0.485 0.235 0.190
0.515 0.765 0.810
0.521 0.183 0.917
0.567 0.576 0.650
0.615 0.922 0.249
0.649 0.266 0.610
0.673 0.490 0.061
0.751 0.950 0.795
0.756 0.536 0.363
0.787 0.206 0.281
0.895 0.694 0.059
0.913 0.365 0.739
0.938 0.634 0.784
```


2.
Computed X-ray diffraction stick pattern
Compound: Li3Cu2S3O12
Radiation: copper Kα
Structure: the PBE geometry in the Materials Project
Kinematic intensities with the Lorentz-polarization factor, no thermal factor.

Main lines, in order of rising 2θ (10 to 80 degrees two-theta):
2θ = 14.17°, rel. 68.6
2θ = 19.48°, rel. 65.0
2θ = 23.73°, rel. 100.0
2θ = 28.56°, rel. 43.0
2θ = 31.23°, rel. 95.7
2θ = 36.22°, rel. 32.0

Structural model:
```
Li3Cu2S3O12
1.0
4.296 2.480 7.683
-4.296 2.480 7.683
0.000 -4.961 7.683
Li Cu S O
6 4 6 24
Direct
0.158 0.772 0.422
0.228 0.578 0.842
0.422 0.158 0.772
0.578 0.842 0.228
0.772 0.422 0.158
0.842 0.228 0.578
0.156 0.156 0.156
0.352 0.352 0.352
0.648 0.648 0.648
0.844 0.844 0.844
0.047 0.454 0.750
0.250 0.953 0.546
0.454 0.750 0.047
0.546 0.250 0.953
0.750 0.047 0.454
0.953 0.546 0.250
0.005 0.345 0.957
0.043 0.995 0.655
0.051 0.640 0.704
0.094 0.513 0.305
~~~
Completed:
1.
Structure and computed powder diffractogram of Tb4Pr3Nd (a cell relaxed with GGA-PBE; copper Kα).

Largest 6 diffraction maxima, sorted by position, 10 to 90 degrees two-theta:
2θ/deg, Rel. int., h k l
28.03, 16, 0 2 1
30.48, 25, 4 0 0
32.02, 100, 2 2 1
41.91, 16, 4 0 2
55.15, 21, 6 2 1
59.45, 15, 4 2 3

Cell and atoms:
```
data_Tb4Pr3Nd
_space_group_name_H-M_alt 'P m n 21'
_space_group_IT_number 31
_cell_length_a 11.7299
_cell_length_b 7.3615
_cell_length_c 6.3449
_cell_angle_alpha 90.00
_cell_angle_beta 90.00
_cell_angle_gamma 90.00
loop_
_space_group_symop_operation_xyz
'x,y,z'
'-x+1/2,-y,z+1/2'
'-x,y,z'
'x+1/2,-y,z+1/2'
loop_
_atom_site_label
_atom_site_type_symbol
_atom_site_fract_x
_atom_site_fract_y
_atom_site_fract_z
Tb1 Tb 0.0000 0.1210 0.0000
Tb2 Tb 0.0000 0.8782 0.5008
Tb3 Tb 0.2501 0.1213 0.3328
Pr1 Pr 0.0000 0.3723 0.4979
Pr2 Pr 0.2495 0.3722 0.8349
Nd1 Nd 0.0000 0.6287 0.9991
```

=====

2.
Structure and computed powder diffractogram of Tb9PrNd2 (a cell relaxed with GGA-PBE; copper Kα).

Largest 6 diffraction maxima, sorted by position, 10 to 90 degrees two-theta:
2θ/deg, Rel. int., h k l
30.48, 100, 1 1 3
35.33, 51, 2 0 0
50.83, 36, 2 2 0
60.43, 43, 3 1 3
82.82, 18, 3 3 3
85.47, 17, 4 2 0

Cell and atoms:
```
data_Tb9PrNd2
_space_group_name_H-M_alt 'P 4/m m m'
_space_group_IT_number 123
_space_group_name_Hall '-P 4 2'
_cell_length_a 5.0793
_cell_length_b 5.0793
_cell_length_c 15.2480
_cell_angle_alpha 90.00
_cell_angle_beta 90.00
_cell_angle_gamma 90.00
loop_
_atom_site_label
_atom_site_type_symbol
_atom_site_fract_x
_atom_site_fract_y
_atom_site_fract_z
Tb1 Tb 0.0000 0.0000 0.0000
Tb2 Tb 0.0000 0.0000 0.3337
Tb3 Tb 0.0000 0.5000 0.1673
Tb4 Tb 0.0000 0.5000 0.5000
Pr1 Pr 0.5000 0.5000 0.0000
Nd1 Nd 0.5000 0.5000 0.3336
```

=====

1.
Computed X-ray diffraction stick pattern
Compound: CsScAs2H2O8
Radiation: copper Kα
Structure: the PBE geometry in the Materials Project
Kinematic intensities with the Lorentz-polarization factor, no thermal factor.

Main lines, in order of rising 2θ (10 to 80 degrees two-theta):
2θ = 23.05°, rel. 43.2
2θ = 24.84°, rel. 32.4
2θ = 26.12°, rel. 90.9
2θ = 27.44°, rel. 100.0
2θ = 27.85°, rel. 65.4
2θ = 29.98°, rel. 40.8

Structural model:
```
CsScAs2H2O8
1.0
7.736 0.000 0.000
3.270 8.948 0.000
3.409 3.344 9.108
Cs Sc As H O
3 3 6 6 24
Direct
0.000 0.000 0.000
0.131 0.169 0.525
0.869 0.831 0.475
0.297 0.279 0.057
0.500 0.500 0.500
0.703 0.721 0.943
0.054 0.446 0.780
0.412 0.649 0.783
0.421 0.876 0.230
0.579 0.124 0.770
0.588 0.351 0.217
0.946 0.554 0.220
0.111 0.738 0.744
0.210 0.561 0.282
0.424 0.959 0.773
0.576 0.041 0.227
0.790 0.439 0.718
0.889 0.262 0.256
0.062 0.366 0.216
0.087 0.635 0.261
0.105 0.306 0.941
0.213 0.794 0.719
0.244 0.464 0.637
0.249 0.050 0.205
0.327 0.510 0.939
0.351 0.734 0.390
0.385 0.078 0.751
0.433 0.424 0.350
0.479 0.817 0.083
0.485 0.235 0.190
0.515 0.765 0.810
0.521 0.183 0.917
0.567 0.576 0.650
0.615 0.922 0.249
0.649 0.266 0.610
0.673 0.490 0.061
0.751 0.950 0.795
0.756 0.536 0.363
0.787 0.206 0.281
0.895 0.694 0.059
0.913 0.365 0.739
0.938 0.634 0.784
```


2.
Computed X-ray diffraction stick pattern
Compound: Li3Cu2S3O12
Radiation: copper Kα
Structure: the PBE geometry in the Materials Project
Kinematic intensities with the Lorentz-polarization factor, no thermal factor.

Main lines, in order of rising 2θ (10 to 80 degrees two-theta):
2θ = 14.17°, rel. 68.6
2θ = 19.48°, rel. 65.0
2θ = 23.73°, rel. 100.0
2θ = 28.56°, rel. 43.0
2θ = 31.23°, rel. 95.7
2θ = 36.22°, rel. 32.0

Structural model:
```
Li3Cu2S3O12
1.0
4.296 2.480 7.683
-4.296 2.480 7.683
0.000 -4.961 7.683
Li Cu S O
6 4 6 24
Direct
0.158 0.772 0.422
0.228 0.578 0.842
0.422 0.158 0.772
0.578 0.842 0.228
0.772 0.422 0.158
0.842 0.228 0.578
0.156 0.156 0.156
0.352 0.352 0.352
0.648 0.648 0.648
0.844 0.844 0.844
0.047 0.454 0.750
0.250 0.953 0.546
0.454 0.750 0.047
0.546 0.250 0.953
0.750 0.047 0.454
0.953 0.546 0.250
0.005 0.345 0.957
0.043 0.995 0.655
0.051 0.640 0.704
0.094 0.513 0.305